You are on a high-speed train heading straight towards a towering cliff – or that’s how you feel. And what’s worse: your client is driving the train. 

A scenario like this is a familiar consultant’s dilemma. But how did you end up in such a situation? And what can you do to save the project?

To get to the solution, know the problem

Sometimes there is such a dire need for the solution that one wishes to jump straight to it. 

I call this going to the finish line without passing first through start. It is natural for the human adult brain to look for a solution automatically. Our brains are so obsessed and filled with data, knowledge, and experience that we intuitively believe we already have all the tools and information to crack the case. 

What case, may I ask? Do we really have all the needed data, knowledge, and experience about the case to begin with? Often, we do not.

Double Triple Diamond to the rescue

You’ve got to love service design as a guide for this type of thinking. The commonly used Double Diamond framework separates creativity from conclusions and guides you on the way from exploring an issue more widely or deeply (divergent thinking) to taking focused action (convergent thinking). 

Double diamond

Following the same kind of thinking in a design sprint, ideation is carried out on a different day from deciding which idea to carry forward. Unbiased mind free from assumptions can wander wildly and come up with new ideas and points of view. All ideas are welcome and equal at this point. Only on the following day one is ready to evaluate, prioritize and make sense out of ideas to sketch towards the solution. Think how often your brilliant idea at night appears less feasible in the morning. Yet, the idea itself had a seed of magnificence. 

Trying to solve a problem while still figuring out what it really is, is impossible and certain to fail. This has been realized also in many service design cases. Oftentimes, many service design projects, including productized design sprints, start with gathering customer/user data. From this data we can find valuable insights that define the challenge that needs to be solved. The need for customer insights is depicted in a Triple Diamond.

Triple diamond

(Maybe) we know the solution, but the path to it is unclear

I was recently involved in a project in which everybody knew the desired outcome. Our assignment, however, was to define that outcome.

We were puzzled for too long a time (I admit), trying to figure out what was expected from us. Surely we could not simply provide a single button, the desired outcome, as the panacea to the client’s headache. It would have been the same button that anyone could have suggested. We were numb, unable to get going. How to suggest something that was too obviously the solution? 

Little by little, we guided the customer to see the actual need for our work: to create the “magical single button” solution. We needed to show the client the path required to get to the solution. Our task was to define the journey starting from the root problem(s) through use cases, not just to apply a given tool. We needed data to define the problem(s) that led to the desired solution.

As the project the customer had asked from us did not appear feasible, the perspective and attitude of the assignment had to be redefined, and the customer’s expectations set right. 

It is always an arduous task for a consultant to steer the customer to a better path. Yet, it is the duty of the consultant to ensure the best outcome for the client. Nobody wants to do a project in vain.

Thankfully, this particular client was receptive, and all went well. 

/*
The following is a computed X-ray powder pattern of KNa6Cd8. It was derived from a cell relaxed with GGA-PBE, using CuKα.
Neutral-atom scattering factors, no anomalous dispersion.

Structural model:
a = 8.8850 Å, b = 8.8850 Å, c = 18.6269 Å
α = 90.00°, β = 90.00°, γ = 120.00°
Space group R-3 (No. 148, hexagonal axes)
Inequivalent atoms, fractional coordinates:
1 K 0.0000 0.0000 0.0000 (multiplicity 3)
2 Na 0.0058 0.2277 0.6267 (multiplicity 18)
3 Cd 0.0000 0.0000 0.2239 (multiplicity 6)
4 Cd 0.0052 0.6821 0.8652 (multiplicity 18)

Largest 12 diffraction maxima, in order of rising 2θ, 10 to 80 degrees two-theta:
hkl	d [Å]	2θ/deg	Rel. int.
0 0 3	6.209	14.26	90.3
0 1 2	5.932	14.93	31.8
2 -1 3	3.613	24.64	63.6
0 2 4	2.966	30.13	18.4
3 0 0	2.565	34.98	100.0
2 -1 6	2.545	35.27	97.1
2 1 4	2.467	36.42	18.3
0 3 3	2.371	37.96	68.5
2 2 3	2.091	43.26	19.8
2 -1 9	1.876	48.53	26.4
2 2 6	1.806	50.52	20.9
5 -1 6	1.477	62.93	23.0

The following is a computed X-ray powder pattern of CrB6N6. It was derived from a cell relaxed with GGA-PBE, using CuKα.
Neutral-atom scattering factors, no anomalous dispersion.

Structural model:
a = 4.5589 Å, b = 4.5589 Å, c = 4.5589 Å
α = 90.00°, β = 90.00°, γ = 90.00°
Space group Pm-3 (No. 200)
Inequivalent atoms, fractional coordinates:
1 Cr 0.0000 0.0000 0.0000 (multiplicity 1)
2 B 0.0000 0.2435 0.5000 (multiplicity 6)
3 N 0.0000 0.5000 0.2520 (multiplicity 6)

Largest 12 diffraction maxima, in order of rising 2θ, 10 to 80 degrees two-theta:
hkl	d [Å]	2θ/deg	Rel. int.
1 0 0	4.559	19.47	100.0
1 1 0	3.224	27.67	1.6
1 1 1	2.632	34.06	29.3
2 0 0	2.279	39.54	45.9
2 0 1	2.039	44.44	46.9
2 1 1	1.861	48.94	87.4
2 2 1	1.520	60.97	17.7
3 1 0	1.442	64.65	1.3
3 1 1	1.375	68.23	9.8
2 2 2	1.316	71.72	2.7
3 2 0	1.264	75.14	7.2
3 1 2	1.218	78.50	34.4

The following is a computed X-ray powder pattern of Ta5Mo3. It was derived from a cell relaxed with GGA-PBE, using CuKα.
Neutral-atom scattering factors, no anomalous dispersion.

Structural model:
a = 3.2428 Å, b = 4.5673 Å, c = 18.6066 Å
α = 90.00°, β = 90.00°, γ = 90.00°
Space group Imm2 (No. 44)
Inequivalent atoms, fractional coordinates:
1 Ta 0.0000 0.0000 0.0000 (multiplicity 2)
2 Ta 0.0000 0.0000 0.2469 (multiplicity 2)
3 Ta 0.0000 0.0000 0.7456 (multiplicity 2)
4 Ta 0.0000 0.5000 0.1178 (multiplicity 2)
5 Ta 0.0000 0.5000 0.3722 (multiplicity 2)
6 Mo 0.0000 0.0000 0.4938 (multiplicity 2)
7 Mo 0.0000 0.5000 0.6223 (multiplicity 2)
8 Mo 0.0000 0.5000 0.8740 (multiplicity 2)

Largest 12 diffraction maxima, in order of rising 2θ, 10 to 80 degrees two-theta:
hkl	d [Å]	2θ/deg	Rel. int.
0 1 1	4.436	20.02	3.0
0 1 3	3.678	24.20	1.9
1 0 1	3.195	27.93	1.7
1 0 3	2.874	31.12	1.8
0 0 8	2.326	38.71	25.2
1 1 4	2.299	39.19	100.0
0 2 0	2.284	39.46	24.2
0 2 8	1.629	56.47	16.8
2 0 0	1.621	56.78	8.4
1 1 12	1.338	70.39	17.1
2 0 8	1.330	70.84	8.7
2 2 0	1.322	71.37	25.7

The following is a computed X-ray powder pattern of SbRuS2Cl. It was derived from a cell relaxed with GGA-PBE, using CuKα.
*/
End of the crystal structures

When the case reminds you of a spider’s web, get your spindle out

So you are looking for a needle in a haystack or feeling like you are caught in a spider’s web, or walking on thin ice. How can you make measurements when the tools you have do not fit the magnitude of the phenomenon you are trying to figure out?

In such a situation, any pre-given tool may give you an answer to a wrong problem. The project or process often ends up being too feeble or narrow. We are every now and then asked to run e.g. a design sprint, because the client has heard it works wonders. Yet, it is the wrong method for the particular client and case. Or, we are asked to run accessibility tests but at the start, we realize usability must be fixed first. In these cases, we look for consensus with the client for next steps.

To untangle the spider’s web, one should understand the big picture and look for the regularities, repetitions, similarities, i.e., the obvious. To see the obvious, look afar.

Only after having defined what kind of a case lies ahead, should you decide on the tools and methods to start the next phase. Start by probing a few essential use cases and expand the insights wider in due time. Ethnographic methods are helpful in finding the needle in the haystack in a budget-friendly and effective manner. 

I have conducted several team and organization assessments using ethnography (interviews, observation, etc.) to find the root causes to be developed. Ethnography deals with what happens emotionally and physically between people and sometimes the issues that come up, are difficult for the client to accept. One time our data was very clear on the problem, which the client denied. But after our project was done, they fixed it. Happy end, after all.

Still lost at sea?

It is common that organizations and teams have a vague idea of what is wrong but can’t verbalize it into something concrete. An outsider’s view is valuable to make the unseen seen.

-- Misplaced data records --
=====
Starting from a PBE-relaxed structure, the XRD peak list of Pm2HoGa2Ag2 was computed for Cu Kα (weighted mean of Kα1 and Kα2).
Kinematic intensities with the Lorentz-polarization factor, no thermal factor.

Lattice parameters (Å, degrees): 4.6198 4.6198 27.3714 90.00 90.00 120.00
Space group R-3m (No. 166, hexagonal axes)
Symmetry-distinct sites (fractional):
Pm: 0.0000 0.0000 0.1247 [6 per cell]
Ho: 0.0000 0.0000 0.0000 [3 per cell]
Ga: 0.0000 0.0000 0.2630 [6 per cell]
Ag: 0.0000 0.0000 0.3922 [6 per cell]

Largest 10 diffraction maxima, low angle first, 2θ = 5–70°:
- 22.46°, intensity 19, hkl 1 0 1
- 25.79°, intensity 16, hkl 1 0 4
- 32.00°, intensity 46, hkl 1 0 7
- 34.49°, intensity 100, hkl 0 1 8
- 38.99°, intensity 95, hkl 1 1 0
- 51.30°, intensity 12, hkl 0 2 7
- 53.03°, intensity 29, hkl 2 0 8
- 65.15°, intensity 27, hkl 1 1 15
- 66.27°, intensity 11, hkl 2 1 7
- 67.75°, intensity 27, hkl 1 2 8

=====

# Li4V3O8
Simulated powder diffraction line list, Cu Kα X-rays. Input: a DFT-relaxed cell (GGA+U, Alexandria).
Intensities are scaled so that the largest is 100.

Peak list (8 most intense, 15 to 90 degrees two-theta, low angle first)
- 17.3°, intensity 100
- 18.4°, intensity 21
- 21.0°, intensity 11
- 35.9°, intensity 29
- 42.7°, intensity 58
- 55.3°, intensity 12
- 60.3°, intensity 16
- 63.6°, intensity 17

Atomic structure:
Unit cell a=6.1499 b=6.1499 c=10.1475 alpha=105.99 beta=105.99 gamma=56.81
Element x y z (fractional)
Li: 0.0324 0.5421 0.4292
Li: 0.2395 0.7605 0.5000
Li: 0.2972 0.7813 0.1822
Li: 0.3302 0.8180 0.8596
Li: 0.5421 0.0324 0.9292
Li: 0.7605 0.2395 0.0000
Li: 0.7813 0.2972 0.6822
Li: 0.8180 0.3302 0.3596
V: 0.0333 0.5413 0.9320
V: 0.2835 0.2987 0.6789
V: 0.2987 0.2835 0.1789
V: 0.5413 0.0333 0.4320
V: 0.7767 0.7919 0.6813
V: 0.7919 0.7767 0.1813
O: 0.1325 0.6479 0.7980
O: 0.1339 0.6490 0.2889
O: 0.1751 0.2049 0.8086
O: 0.2049 0.1751 0.3086
O: 0.3895 0.3937 0.5596
O: 0.3937 0.3895 0.0596
O: 0.4232 0.9424 0.5625
O: 0.4524 0.9180 0.0706
O: 0.6479 0.1325 0.2980
O: 0.6490 0.1339 0.7889
O: 0.6707 0.6928 0.3092
O: 0.6928 0.6707 0.8092
O: 0.8661 0.9193 0.5461
O: 0.9180 0.4524 0.5706
O: 0.9193 0.8661 0.0461
O: 0.9424 0.4232 0.0625

=====

Record 1
Computed X-ray diffraction stick pattern of Dy5AgS8 for a wavelength of 1.5418 Å, from a GGA-PBE-relaxed structure.

Atomic structure:
```
Dy5AgS8
1.0
-4.1630 4.1630 4.1839
4.1630 -4.1630 4.1839
4.1630 4.1630 -4.1839
Dy Ag S
5 1 8
Direct
0.0000 0.0000 0.0000
0.2466 0.6285 0.1123
0.3715 0.4837 0.6180
0.5163 0.1343 0.8877
0.8657 0.7534 0.3820
0.7500 0.2500 0.5000
0.1226 0.2330 0.7517
0.1412 0.7553 0.7596
0.2447 0.0043 0.3859
0.4813 0.3710 0.2483
0.6184 0.8588 0.6141
0.6290 0.8774 0.1104
0.7670 0.5187 0.8896
0.9957 0.3816 0.2404
```

Top 10 peaks for 10° ≤ 2θ ≤ 90°, sorted by position:
Position (°2θ)	d_spacing	I_rel
26.2	3.405	100
33.9	2.645	26
34.0	2.634	61
40.4	2.231	34
40.5	2.226	18
48.9	1.863	23
51.4	1.778	23
56.2	1.637	15
69.6	1.351	21
85.7	1.133	16

=====

Record 2
=====

This is what we consultants do, but we should begin from the first principles by comprehending the problem and the challenges before rushing forward. My advice is that if the sea appears dark and unexplored and icebergs are evident, start by looking for the essentials, the similarities, and the repetitions to find the obvious. 

I guarantee you – customer, consultant, whoever you are - will find the sailing much smoother and sail to a harbor of happiness if you follow this process.


Published: Jun 21, 2022

Design and UXProduct management